Contents.
........
1.
The following is a calculated powder diffraction line list of TaAlSn. It was derived from DFT lattice parameters and positions (PBE), using Cu Ka.
Lines closer than 0.1° are merged.

Atomic structure:
Cell lengths 3.844, 3.844, 8.108 Å; angles 90.00, 90.00, 90.00 degrees
Space group P4/nmm (No. 129, origin choice 2)
One atom of each set of equivalent atoms:
Ta: 0.250 0.250 0.241
Al: 0.250 0.750 0.500
Sn: 0.250 0.250 0.862

The 12 most intense peaks (15° ≤ 2θ ≤ 90°), in order of falling intensity:
- hkl 1 1 0, 33.0°, intensity 100
- hkl 1 0 3, 40.8°, intensity 85
- hkl 1 1 2, 39.9°, intensity 81
- hkl 0 0 2, 21.9°, intensity 53
- hkl 2 0 0, 47.3°, intensity 53
- hkl 2 1 3, 64.2°, intensity 46
- hkl 1 0 1, 25.6°, intensity 37
- hkl 1 0 5, 62.1°, intensity 37
- hkl 2 1 5, 81.6°, intensity 35
- hkl 1 1 1, 34.8°, intensity 31
- hkl 1 0 2, 32.1°, intensity 29
- hkl 2 0 2, 52.7°, intensity 21

***

2.
The following is a calculated powder diffraction line list of Al2Sn2Te. It was derived from DFT lattice parameters and positions (PBE), using Cu Ka.
Lines closer than 0.1° are merged.

Atomic structure:
Cell lengths 3.921, 3.921, 16.460 Å; angles 90.00, 90.00, 90.00 degrees
Space group I4/mmm (No. 139)
One atom of each set of equivalent atoms:
Al: 0.000 0.500 0.250
Sn: 0.000 0.000 0.112
Te: 0.000 0.000 0.500

The 12 most intense peaks (15° ≤ 2θ ≤ 90°), in order of falling intensity:
- hkl 1 0 5, 35.6°, intensity 100
- hkl 1 0 3, 28.0°, intensity 93
- hkl 1 1 0, 32.3°, intensity 51
- hkl 2 1 5, 59.7°, intensity 46
- hkl 1 1 2, 34.1°, intensity 44
- hkl 2 0 0, 46.3°, intensity 34
- hkl 2 1 3, 55.0°, intensity 29
- hkl 2 0 8, 65.8°, intensity 19
- hkl 1 1 10, 66.0°, intensity 18
- hkl 1 1 4, 39.2°, intensity 16
- hkl 1 1 8, 55.6°, intensity 15
- hkl 0 0 8, 44.0°, intensity 15

***

> Which formula does entry 2 have?

Al2Sn2Te

***

> Number 2 is which compound?

Al2Sn2Te


Computed X-ray diffraction stick pattern
Compound: HgTe2PdAu
Radiation: copper Kα
Structure: a crystal structure in Alexandria, relaxed with PBE
Lines closer than 0.1° are merged.

Peak list (6 most intense, 2θ = 5–70°, in order of falling intensity)
Position (°2θ)  intensity
40.6  100
27.5  60
26.5  36
30.1  33
36.4  30
38.6  27

Crystal structure
Cell: 5.9374 17.7848 5.1307 Å, 90.00 90.00 90.00°
Space group Cmme (No. 67)
Symmetry-distinct sites (fractional):
Hg: 0.0000 0.2500 0.1586 (multiplicity 4)
Te: 0.0000 0.1184 0.6491 (multiplicity 8)
Pd: 0.2500 0.0000 0.5000 (multiplicity 4)
Au: 0.0000 0.0000 0.0000 (multiplicity 4)


Theoretical powder diffractogram
Compound: Pm3DyIn2
Radiation: copper Kα
Structure: the GGA-PBE geometry in Alexandria
Neutral-atom scattering factors, no anomalous dispersion.

```
Pm3DyIn2
1.0
5.296 0.000 0.000
0.000 10.024 0.000
0.000 0.000 6.817
Pm Dy In
6 2 4
Direct
0.000 0.036 0.000 Pm
0.000 0.325 0.340 Pm
0.000 0.675 0.840 Pm
0.000 0.964 0.500 Pm
0.500 0.181 0.726 Pm
0.500 0.819 0.226 Pm
0.500 0.462 0.063 Dy
0.500 0.538 0.563 Dy
0.000 0.356 0.823 In
0.000 0.644 0.323 In
0.500 0.146 0.245 In
0.500 0.854 0.745 In
```

Peak list (10 most intense, 2θ from 15° to 90°, in order of rising 2θ)
2theta	intensity
27.8	10
31.2	25
31.7	100
32.5	63
33.8	40
37.7	12
47.1	18
57.4	15
59.2	12
59.7	11

Theoretical powder diffractogram
Compound: Pm8Dy3In
Radiation: copper Kα
Structure: the GGA-PBE geometry in Alexandria
Neutral-atom scattering factors, no anomalous dispersion.

```
Pm8Dy3In
1.0
-4.349 4.349 5.750
4.349 -4.349 5.750
4.349 4.349 -5.750
Pm Dy In
8 3 1
Direct
0.120 0.120 0.746 Pm
0.228 0.228 0.491 Pm
0.263 0.772 0.000 Pm
0.374 0.374 0.254 Pm
0.626 0.880 0.000 Pm
0.737 0.737 0.509 Pm
0.772 0.263 0.000 Pm
0.880 0.626 0.000 Pm
0.000 0.000 0.000 Dy
0.250 0.750 0.500 Dy
0.750 0.250 0.500 Dy
0.500 0.500 0.000 In
```

Peak list (10 most intense, 2θ from 15° to 90°, in order of rising 2θ)
2theta	intensity
24.2	61
25.7	54
29.0	76
31.1	67
32.8	30
36.2	100
43.1	47
44.5	42
56.3	26
58.7	29

Theoretical powder diffractogram
Compound: Pm4Dy5In2
........

Exercise.
Could you duplicate the whole of the calculation results above without additions?

Response.
1.
The following is a calculated powder diffraction line list of TaAlSn. It was derived from DFT lattice parameters and positions (PBE), using Cu Ka.
Lines closer than 0.1° are merged.

Atomic structure:
Cell lengths 3.844, 3.844, 8.108 Å; angles 90.00, 90.00, 90.00 degrees
Space group P4/nmm (No. 129, origin choice 2)
One atom of each set of equivalent atoms:
Ta: 0.250 0.250 0.241
Al: 0.250 0.750 0.500
Sn: 0.250 0.250 0.862

The 12 most intense peaks (15° ≤ 2θ ≤ 90°), in order of falling intensity:
- hkl 1 1 0, 33.0°, intensity 100
- hkl 1 0 3, 40.8°, intensity 85
- hkl 1 1 2, 39.9°, intensity 81
- hkl 0 0 2, 21.9°, intensity 53
- hkl 2 0 0, 47.3°, intensity 53
- hkl 2 1 3, 64.2°, intensity 46
- hkl 1 0 1, 25.6°, intensity 37
- hkl 1 0 5, 62.1°, intensity 37
- hkl 2 1 5, 81.6°, intensity 35
- hkl 1 1 1, 34.8°, intensity 31
- hkl 1 0 2, 32.1°, intensity 29
- hkl 2 0 2, 52.7°, intensity 21

***

2.
The following is a calculated powder diffraction line list of Al2Sn2Te. It was derived from DFT lattice parameters and positions (PBE), using Cu Ka.
Lines closer than 0.1° are merged.

Atomic structure:
Cell lengths 3.921, 3.921, 16.460 Å; angles 90.00, 90.00, 90.00 degrees
Space group I4/mmm (No. 139)
One atom of each set of equivalent atoms:
Al: 0.000 0.500 0.250
Sn: 0.000 0.000 0.112
Te: 0.000 0.000 0.500

The 12 most intense peaks (15° ≤ 2θ ≤ 90°), in order of falling intensity:
- hkl 1 0 5, 35.6°, intensity 100
- hkl 1 0 3, 28.0°, intensity 93
- hkl 1 1 0, 32.3°, intensity 51
- hkl 2 1 5, 59.7°, intensity 46
- hkl 1 1 2, 34.1°, intensity 44
- hkl 2 0 0, 46.3°, intensity 34
- hkl 2 1 3, 55.0°, intensity 29
- hkl 2 0 8, 65.8°, intensity 19
- hkl 1 1 10, 66.0°, intensity 18
- hkl 1 1 4, 39.2°, intensity 16
- hkl 1 1 8, 55.6°, intensity 15
- hkl 0 0 8, 44.0°, intensity 15

***

> Which formula does entry 2 have?

Al2Sn2Te

***

> Number 2 is which compound?

Al2Sn2Te


Computed X-ray diffraction stick pattern
Compound: HgTe2PdAu
Radiation: copper Kα
Structure: a crystal structure in Alexandria, relaxed with PBE
Lines closer than 0.1° are merged.

Peak list (6 most intense, 2θ = 5–70°, in order of falling intensity)
Position (°2θ)  intensity
40.6  100
27.5  60
26.5  36
30.1  33
36.4  30
38.6  27

Crystal structure
Cell: 5.9374 17.7848 5.1307 Å, 90.00 90.00 90.00°
Space group Cmme (No. 67)
Symmetry-distinct sites (fractional):
Hg: 0.0000 0.2500 0.1586 (multiplicity 4)
Te: 0.0000 0.1184 0.6491 (multiplicity 8)
Pd: 0.2500 0.0000 0.5000 (multiplicity 4)
Au: 0.0000 0.0000 0.0000 (multiplicity 4)


Theoretical powder diffractogram
Compound: Pm3DyIn2
Radiation: copper Kα
Structure: the GGA-PBE geometry in Alexandria
Neutral-atom scattering factors, no anomalous dispersion.

```
Pm3DyIn2
1.0
5.296 0.000 0.000
0.000 10.024 0.000
0.000 0.000 6.817
Pm Dy In
6 2 4
Direct
0.000 0.036 0.000 Pm
0.000 0.325 0.340 Pm
0.000 0.675 0.840 Pm
0.000 0.964 0.500 Pm
0.500 0.181 0.726 Pm
0.500 0.819 0.226 Pm
0.500 0.462 0.063 Dy
0.500 0.538 0.563 Dy
0.000 0.356 0.823 In
0.000 0.644 0.323 In
0.500 0.146 0.245 In
0.500 0.854 0.745 In
```

Peak list (10 most intense, 2θ from 15° to 90°, in order of rising 2θ)
2theta	intensity
27.8	10
31.2	25
31.7	100
32.5	63
33.8	40
37.7	12
47.1	18
57.4	15
59.2	12
59.7	11

Theoretical powder diffractogram
Compound: Pm8Dy3In
Radiation: copper Kα
Structure: the GGA-PBE geometry in Alexandria
Neutral-atom scattering factors, no anomalous dispersion.

```
Pm8Dy3In
1.0
-4.349 4.349 5.750
4.349 -4.349 5.750
4.349 4.349 -5.750
Pm Dy In
8 3 1
Direct
0.120 0.120 0.746 Pm
0.228 0.228 0.491 Pm
0.263 0.772 0.000 Pm
0.374 0.374 0.254 Pm
0.626 0.880 0.000 Pm
0.737 0.737 0.509 Pm
0.772 0.263 0.000 Pm
0.880 0.626 0.000 Pm
0.000 0.000 0.000 Dy
0.250 0.750 0.500 Dy
0.750 0.250 0.500 Dy
0.500 0.500 0.000 In
```

Peak list (10 most intense, 2θ from 15° to 90°, in order of rising 2θ)
2theta	intensity
24.2	61
25.7	54
29.0	76
31.1	67
32.8	30
36.2	100
43.1	47
44.5	42
56.3	26
58.7	29

Theoretical powder diffractogram
Compound: Pm4Dy5In2